Echo all of the lines further down unchanged.

........
{"formula": "U3Tl2FeO12", "functional": "PBE+U", "state": "relaxed", "total_energy_ev_per_atom": -8.0225, "dos_at_fermi_per_ev_cell": 5.676, "rho_g_cm3": 7.20, "lattice": [[-6.608, -2.995, -1.592], [-1.418, -6.576, 3.149], [-4.990, 0.052, 5.502]], "species": ["Tl", "Tl", "O", "O", "O", "O", "O", "O", "O", "O", "O", "O", "O", "O", "U", "U", "U", "Fe"], "fractional_positions": [[0.648, 0.648, 0.648], [0.352, 0.352, 0.352], [0.709, 0.055, 0.055], [0.950, 0.325, 0.325], [0.325, 0.325, 0.950], [0.945, 0.945, 0.291], [0.675, 0.675, 0.050], [0.055, 0.709, 0.055], [0.325, 0.950, 0.325], [0.945, 0.291, 0.945], [0.050, 0.675, 0.675], [0.675, 0.050, 0.675], [0.291, 0.945, 0.945], [0.055, 0.055, 0.709], [0.000, 0.000, 0.500], [0.500, 0.000, 0.000], [0.000, 0.500, 0.000], [0.000, 0.000, 0.000]]}

----------

# Li2FeF5, relaxed, DFT GGA+U
# Excess energy over the best structure of this formula in the dataset, meV/atom: 0
data_Li2FeF5
_chemical_formula_sum 'Li8 Fe4 F20'
_space_group_name_H-M_alt 'C 1 2/c 1'
_space_group_IT_number 15
_cell_length_a 10.2238
_cell_length_b 5.1491
_cell_length_c 7.2436
_cell_angle_alpha 90.00
_cell_angle_beta 111.76
_cell_angle_gamma 90.00
loop_
_space_group_symop_operation_xyz
'x,y,z'
'-x,-y,-z'
'-x,y,-z+1/2'
'x,-y,z+1/2'
'x+1/2,y+1/2,z'
'-x+1/2,-y+1/2,-z'
'-x+1/2,y+1/2,-z+1/2'
'x+1/2,-y+1/2,z+1/2'
loop_
_atom_site_label
_atom_site_type_symbol
_atom_site_fract_x
_atom_site_fract_y
_atom_site_fract_z
Li1 Li 0.1368 0.0188 0.2317
Fe1 Fe 0.0000 0.5000 0.0000
F1 F 0.0000 0.3229 0.7500
F2 F 0.0807 0.1772 0.4521
F3 F 0.1830 0.3557 0.1468

# Li3Fe2F7, relaxed, DFT GGA+U
# Excess energy over the best structure of this formula in the dataset, meV/atom: 136
data_Li3Fe2F7
_chemical_formula_sum 'Li12 Fe8 F28'
_space_group_name_H-M_alt 'P 1 21/c 1'
_space_group_IT_number 14
_cell_length_a 7.5979
_cell_length_b 10.5280
_cell_length_c 8.6001
_cell_angle_alpha 90.00
_cell_angle_beta 122.76
_cell_angle_gamma 90.00
loop_
_space_group_symop_operation_xyz
'x,y,z'
'-x,-y,-z'
'-x,y+1/2,-z+1/2'
'x,-y+1/2,z+1/2'
loop_
_atom_site_label
_atom_site_type_symbol
_atom_site_fract_x
_atom_site_fract_y
_atom_site_fract_z
Li1 Li 0.1209 0.0933 0.3126
Li2 Li 0.2161 0.5611 0.1500
Li3 Li 0.3428 0.7323 0.9292
Fe1 Fe 0.2238 0.5795 0.6048
Fe2 Fe 0.3213 0.2259 0.6721
F1 F 0.0765 0.1151 0.5144
F2 F 0.1248 0.1097 0.0700
F3 F 0.1830 0.6126 0.3569
F4 F 0.2129 0.5771 0.8310
F5 F 0.3515 0.2232 0.4272
F6 F 0.3568 0.7320 0.1771
F7 F 0.4631 0.0423 0.7645

# LiFe2F5, relaxed, DFT GGA+U
# Excess energy over the best structure of this formula in the dataset, meV/atom: 22
data_LiFe2F5
_chemical_formula_sum 'Li4 Fe8 F20'
_space_group_name_H-M_alt 'C 1 2/c 1'
_space_group_IT_number 15
_cell_length_a 10.9535
_cell_length_b 5.3282
_cell_length_c 7.5297
_cell_angle_alpha 90.00
_cell_angle_beta 113.32
_cell_angle_gamma 90.00
loop_
_space_group_symop_operation_xyz
'x,y,z'
'-x,-y,-z'
'-x,y,-z+1/2'
'x,-y,z+1/2'
'x+1/2,y+1/2,z'
'-x+1/2,-y+1/2,-z'
'-x+1/2,y+1/2,-z+1/2'
'x+1/2,-y+1/2,z+1/2'
loop_
_atom_site_label
_atom_site_type_symbol
_atom_site_fract_x
_atom_site_fract_y
_atom_site_fract_z
Li1 Li 0.0000 0.0000 0.0000
Fe1 Fe 0.1839 0.4962 0.3769
F1 F 0.0000 0.3397 0.2500
F2 F 0.1317 0.1588 0.9608
F3 F 0.1900 0.3073 0.6335

# Li2Fe2F, relaxed, DFT GGA+U
# Excess energy over the best structure of this formula in the dataset, meV/atom: 0
data_Li2Fe2F
_chemical_formula_sum 'Li4 Fe4 F2'
_space_group_name_H-M_alt 'P 4/m b m'
_space_group_IT_number 127
_space_group_name_Hall '-P 4 2ab'
_cell_length_a 5.2122
_cell_length_b 5.2122
_cell_length_c 5.9842
_cell_angle_alpha 90.00
_cell_angle_beta 90.00
_cell_angle_gamma 90.00
loop_
_atom_site_label
_atom_site_type_symbol
_atom_site_fract_x
_atom_site_fract_y
_atom_site_fract_z
Li1 Li 0.1971 0.3029 0.0000
Fe1 Fe 0.1956 0.6956 0.5000
F1 F 0.0000 0.0000 0.0000

# Li3Fe2F7, relaxed, DFT GGA+U
# Excess energy over the best structure of this formula in the dataset, meV/atom: 0
data_Li3Fe2F7
_chemical_formula_sum 'Li12 Fe8 F28'
........

{"formula": "U3Tl2FeO12", "functional": "PBE+U", "state": "relaxed", "total_energy_ev_per_atom": -8.0225, "dos_at_fermi_per_ev_cell": 5.676, "rho_g_cm3": 7.20, "lattice": [[-6.608, -2.995, -1.592], [-1.418, -6.576, 3.149], [-4.990, 0.052, 5.502]], "species": ["Tl", "Tl", "O", "O", "O", "O", "O", "O", "O", "O", "O", "O", "O", "O", "U", "U", "U", "Fe"], "fractional_positions": [[0.648, 0.648, 0.648], [0.352, 0.352, 0.352], [0.709, 0.055, 0.055], [0.950, 0.325, 0.325], [0.325, 0.325, 0.950], [0.945, 0.945, 0.291], [0.675, 0.675, 0.050], [0.055, 0.709, 0.055], [0.325, 0.950, 0.325], [0.945, 0.291, 0.945], [0.050, 0.675, 0.675], [0.675, 0.050, 0.675], [0.291, 0.945, 0.945], [0.055, 0.055, 0.709], [0.000, 0.000, 0.500], [0.500, 0.000, 0.000], [0.000, 0.500, 0.000], [0.000, 0.000, 0.000]]}

----------

# Li2FeF5, relaxed, DFT GGA+U
# Excess energy over the best structure of this formula in the dataset, meV/atom: 0
data_Li2FeF5
_chemical_formula_sum 'Li8 Fe4 F20'
_space_group_name_H-M_alt 'C 1 2/c 1'
_space_group_IT_number 15
_cell_length_a 10.2238
_cell_length_b 5.1491
_cell_length_c 7.2436
_cell_angle_alpha 90.00
_cell_angle_beta 111.76
_cell_angle_gamma 90.00
loop_
_space_group_symop_operation_xyz
'x,y,z'
'-x,-y,-z'
'-x,y,-z+1/2'
'x,-y,z+1/2'
'x+1/2,y+1/2,z'
'-x+1/2,-y+1/2,-z'
'-x+1/2,y+1/2,-z+1/2'
'x+1/2,-y+1/2,z+1/2'
loop_
_atom_site_label
_atom_site_type_symbol
_atom_site_fract_x
_atom_site_fract_y
_atom_site_fract_z
Li1 Li 0.1368 0.0188 0.2317
Fe1 Fe 0.0000 0.5000 0.0000
F1 F 0.0000 0.3229 0.7500
F2 F 0.0807 0.1772 0.4521
F3 F 0.1830 0.3557 0.1468

# Li3Fe2F7, relaxed, DFT GGA+U
# Excess energy over the best structure of this formula in the dataset, meV/atom: 136
data_Li3Fe2F7
_chemical_formula_sum 'Li12 Fe8 F28'
_space_group_name_H-M_alt 'P 1 21/c 1'
_space_group_IT_number 14
_cell_length_a 7.5979
_cell_length_b 10.5280
_cell_length_c 8.6001
_cell_angle_alpha 90.00
_cell_angle_beta 122.76
_cell_angle_gamma 90.00
loop_
_space_group_symop_operation_xyz
'x,y,z'
'-x,-y,-z'
'-x,y+1/2,-z+1/2'
'x,-y+1/2,z+1/2'
loop_
_atom_site_label
_atom_site_type_symbol
_atom_site_fract_x
_atom_site_fract_y
_atom_site_fract_z
Li1 Li 0.1209 0.0933 0.3126
Li2 Li 0.2161 0.5611 0.1500
Li3 Li 0.3428 0.7323 0.9292
Fe1 Fe 0.2238 0.5795 0.6048
Fe2 Fe 0.3213 0.2259 0.6721
F1 F 0.0765 0.1151 0.5144
F2 F 0.1248 0.1097 0.0700
F3 F 0.1830 0.6126 0.3569
F4 F 0.2129 0.5771 0.8310
F5 F 0.3515 0.2232 0.4272
F6 F 0.3568 0.7320 0.1771
F7 F 0.4631 0.0423 0.7645

# LiFe2F5, relaxed, DFT GGA+U
# Excess energy over the best structure of this formula in the dataset, meV/atom: 22
data_LiFe2F5
_chemical_formula_sum 'Li4 Fe8 F20'
_space_group_name_H-M_alt 'C 1 2/c 1'
_space_group_IT_number 15
_cell_length_a 10.9535
_cell_length_b 5.3282
_cell_length_c 7.5297
_cell_angle_alpha 90.00
_cell_angle_beta 113.32
_cell_angle_gamma 90.00
loop_
_space_group_symop_operation_xyz
'x,y,z'
'-x,-y,-z'
'-x,y,-z+1/2'
'x,-y,z+1/2'
'x+1/2,y+1/2,z'
'-x+1/2,-y+1/2,-z'
'-x+1/2,y+1/2,-z+1/2'
'x+1/2,-y+1/2,z+1/2'
loop_
_atom_site_label
_atom_site_type_symbol
_atom_site_fract_x
_atom_site_fract_y
_atom_site_fract_z
Li1 Li 0.0000 0.0000 0.0000
Fe1 Fe 0.1839 0.4962 0.3769
F1 F 0.0000 0.3397 0.2500
F2 F 0.1317 0.1588 0.9608
F3 F 0.1900 0.3073 0.6335

# Li2Fe2F, relaxed, DFT GGA+U
# Excess energy over the best structure of this formula in the dataset, meV/atom: 0
data_Li2Fe2F
_chemical_formula_sum 'Li4 Fe4 F2'
_space_group_name_H-M_alt 'P 4/m b m'
_space_group_IT_number 127
_space_group_name_Hall '-P 4 2ab'
_cell_length_a 5.2122
_cell_length_b 5.2122
_cell_length_c 5.9842
_cell_angle_alpha 90.00
_cell_angle_beta 90.00
_cell_angle_gamma 90.00
loop_
_atom_site_label
_atom_site_type_symbol
_atom_site_fract_x
_atom_site_fract_y
_atom_site_fract_z
Li1 Li 0.1971 0.3029 0.0000
Fe1 Fe 0.1956 0.6956 0.5000
F1 F 0.0000 0.0000 0.0000

# Li3Fe2F7, relaxed, DFT GGA+U
# Excess energy over the best structure of this formula in the dataset, meV/atom: 0
data_Li3Fe2F7
_chemical_formula_sum 'Li12 Fe8 F28'